The Pact

The Pact Quotes and Analysis

“I, um, I have this problem. I broke up with my boyfriend, you see. And I'm pretty upset about it, so I wanted to talk to my best friend...The thing is, they're both you.”

[Next to the article, the page also holds records of crystals]
┌──
GGA+U SrFe5Bi4O15, relaxed; energy of formation = -1721 meV per atom; symmetry = P1 (1); total moment = 24.00 Bohr magnetons per cell
1.0
5.7598 0.0000 0.0000
-0.1331 6.9152 0.0000
-2.6602 -2.3275 8.1521
Sr Fe Bi O
1 5 4 15
direct
0.0000 0.0000 0.0000 Sr
0.1893 0.2988 0.3856 Fe
0.3811 0.1000 0.7932 Fe
0.5653 0.9068 0.1838 Fe
0.7822 0.7029 0.5890 Fe
0.9909 0.5101 0.9917 Fe
0.2734 0.7954 0.4134 Bi
0.4654 0.5855 0.8265 Bi
0.6658 0.3878 0.2195 Bi
0.8687 0.1890 0.6088 Bi
0.0298 0.3993 0.1797 O
0.0440 0.9247 0.6791 O
0.1350 0.2994 0.8653 O
0.2396 0.2101 0.5853 O
0.2596 0.7128 0.0807 O
0.3560 0.1020 0.2778 O
0.4428 0.5259 0.4749 O
0.4730 0.0067 0.9836 O
0.5425 0.9069 0.6647 O
0.6404 0.8068 0.3813 O
0.6472 0.3209 0.8806 O
0.7453 0.7040 0.0716 O
0.8306 0.6132 0.7858 O
0.8466 0.1200 0.2809 O
0.9376 0.4975 0.4696 O


This record from the Materials Project database describes an optimized crystal structure of NaTi4Cu3O12. The functional is PBE.

POSCAR file:
```
NaTi4Cu3O12
1.0
-3.7151 3.7151 3.7151
3.7151 -3.7151 3.7151
3.7151 3.7151 -3.7151
O Cu Ti Na
12 3 4 1
direct
0.8679 0.1776 0.6903
0.1321 0.8224 0.3097
0.6903 0.8679 0.1776
0.8224 0.3097 0.1321
0.3097 0.1321 0.8224
0.1776 0.3097 0.4873
0.3097 0.4873 0.1776
0.4873 0.1776 0.3097
0.6903 0.5127 0.8224
0.1776 0.6903 0.8679
0.8224 0.6903 0.5127
0.5127 0.8224 0.6903
0.0000 0.5000 0.5000
0.5000 0.5000 0.0000
0.5000 0.0000 0.5000
0.0000 0.0000 0.5000
0.5000 0.5000 0.5000
0.0000 0.5000 0.0000
0.5000 0.0000 0.0000
0.0000 0.0000 0.0000
```

Computed properties:
Energy of formation from the pure elements in eV per atom: -2.518


Entry 1
Density functional theory data (PBE+U) for a relaxed VP4O12 crystal.

The structure in POSCAR format:
```
VP4O12
1.0
0.2782 -7.2789 -1.3221
6.8095 -2.8142 0.7204
1.0010 -5.2895 8.3612
V P O
2 8 24
Direct
0.5000 0.0000 0.0000
0.0000 0.5000 0.5000
0.7527 0.2583 0.4671
0.7417 0.2473 0.0329
0.6949 0.6620 0.8115
0.2583 0.7527 0.9671
0.2473 0.7417 0.5329
0.3380 0.3051 0.6885
0.6620 0.6949 0.3115
0.3051 0.3380 0.1885
0.6607 0.4674 0.3449
0.1949 0.3438 0.3493
0.8051 0.6562 0.6507
0.8257 0.3362 0.5574
0.3362 0.8257 0.0574
0.4674 0.6607 0.8449
0.3101 0.1574 0.1488
0.2039 0.5444 0.0791
0.5444 0.2039 0.5791
0.0964 0.8860 0.8957
0.3393 0.5326 0.6551
0.3438 0.1949 0.8493
0.8426 0.6899 0.3512
0.1140 0.9036 0.6043
0.8860 0.0964 0.3957
0.6638 0.1743 0.9426
0.6562 0.8051 0.1507
0.1743 0.6638 0.4426
0.9036 0.1140 0.1043
0.4556 0.7961 0.4209
0.7961 0.4556 0.9209
0.6899 0.8426 0.8512
0.5326 0.3393 0.1551
0.1574 0.3101 0.6488
```

Entry 2
Density functional theory data (PBE+U) for a relaxed VP4O12 crystal.

The structure in POSCAR format:
```
VP4O12
1.0
-1.8892 -4.8577 4.9339
1.2112 2.6958 6.5403
-8.5299 2.4353 5.0120
V P O
2 8 24
Direct
0.0528 0.9472 0.2500
0.9472 0.0528 0.7500
0.2644 0.7538 0.5185
0.2462 0.7356 0.9815
0.2815 0.3150 0.1956
0.3150 0.2815 0.6956
0.6850 0.7185 0.3044
0.7185 0.6850 0.8044
0.7538 0.2644 0.0185
0.7356 0.2462 0.4815
0.1473 0.9106 0.5999
0.2819 0.5316 0.6398
└──

Emily, p.190

This quote reveals the heart of Chris and Emily's problem in the story: they have grown up so close to one another that they do not have an outside support system. In the case of this temporary break-up, the result is not awful; Emily confides her feelings to Chris, he feels compelled to comfort her, and they return to their relationship largely unchanged. However, when Emily gets pregnant and does not want to reveal this to Chris or to her parents, her lack of an outside support system of friends and peers causes her to feel as if she has no other options but suicide.

“Do you know what it's like to love someone so much, that you can't see yourself without picturing her? Or what it's like to touch someone, and feel like you've come home? What we had wasn't about sex, or about being with someone just to show off what you've got, the way it was for other kids our age. We were, well, meant to be together. Some people spend their whole lives looking for that one person. I was lucky enough to have her all along.”

Chris, p.467

Between two parts of the page: records of crystals >
........
w | VASP calculation (PBE+U) on a relaxed Li2FeP2O8 crystal.

symmetry	No. 61
size of the total moment	5.010	μB per formula unit

a = 9.1508 Å, b = 13.7419 Å, c = 9.2385 Å
α = 90.00°, β = 90.00°, γ = 90.00°
With the nearest neighbours (Å) after each atom.
Atoms (fractional coordinates):
Li: 0.0456 0.1258 0.2260  3 O 1.94-2.09
Li: 0.0456 0.3742 0.7260  3 O 1.94-2.09
Li: 0.2165 0.6268 0.4604  4 O 2.00-2.18
Li: 0.2165 0.8732 0.9604  4 O 2.00-2.18
Li: 0.2835 0.1268 0.4604  4 O 2.00-2.18
Li: 0.2835 0.3732 0.9604  4 O 2.00-2.18
Li: 0.4544 0.6258 0.2260  3 O 1.94-2.09
Li: 0.4544 0.8742 0.7260  3 O 1.94-2.09
Li: 0.5456 0.1258 0.2740  3 O 1.94-2.09
Li: 0.5456 0.3742 0.7740  3 O 1.94-2.09
Li: 0.7165 0.6268 0.0396  4 O 2.00-2.18
Li: 0.7165 0.8732 0.5396  4 O 2.00-2.18
Li: 0.7835 0.1268 0.0396  4 O 2.00-2.18
Li: 0.7835 0.3732 0.5396  4 O 2.00-2.18
Li: 0.9544 0.6258 0.2740  3 O 1.94-2.09
Li: 0.9544 0.8742 0.7740  3 O 1.94-2.09
Fe: 0.1048 0.6253 0.8598  6 O 2.00-2.05
Fe: 0.1048 0.8747 0.3598  6 O 2.00-2.05
Fe: 0.3952 0.1253 0.8598  6 O 2.00-2.05
Fe: 0.3952 0.3747 0.3598  6 O 2.00-2.05
Fe: 0.6048 0.6253 0.6402  6 O 2.00-2.05
Fe: 0.6048 0.8747 0.1402  6 O 2.00-2.05
Fe: 0.8952 0.1253 0.6402  6 O 2.00-2.05
Fe: 0.8952 0.3747 0.1402  6 O 2.00-2.05
P: 0.0666 0.2226 0.9259  4 O 1.52-1.57
P: 0.0666 0.2774 0.4259  4 O 1.52-1.57
P: 0.1867 0.5097 0.1612  4 O 1.52-1.56
P: 0.1867 0.9903 0.6612  4 O 1.52-1.56
P: 0.3133 0.0097 0.1612  4 O 1.52-1.56
P: 0.3133 0.4903 0.6612  4 O 1.52-1.56
P: 0.4334 0.7226 0.9259  4 O 1.52-1.57
P: 0.4334 0.7774 0.4259  4 O 1.52-1.57
P: 0.5666 0.2226 0.5741  4 O 1.52-1.57
P: 0.5666 0.2774 0.0741  4 O 1.52-1.57
P: 0.6867 0.5097 0.3388  4 O 1.52-1.56
P: 0.6867 0.9903 0.8388  4 O 1.52-1.56
P: 0.8133 0.0097 0.3388  4 O 1.52-1.56
P: 0.8133 0.4903 0.8388  4 O 1.52-1.56
P: 0.9334 0.7226 0.5741  4 O 1.52-1.57
P: 0.9334 0.7774 0.0741  4 O 1.52-1.57
O: 0.0007 0.6455 0.4771  1 P 1.52
O: 0.0007 0.8545 0.9771  1 P 1.52
O: 0.0046 0.2201 0.7688  1 P 1.56
O: 0.0046 0.2799 0.2688  1 P 1.56
O: 0.0240 0.0105 0.7019  1 P 1.56
O: 0.0240 0.4895 0.2019  1 P 1.56
O: 0.0335 0.1709 0.4795  1 P 1.57
O: 0.0335 0.3291 0.9795  1 P 1.57
O: 0.1995 0.5255 0.9945  1 P 1.56
O: 0.1995 0.9745 0.4945  1 P 1.56
O: 0.2242 0.5848 0.6881  1 P 1.55
O: 0.2242 0.9152 0.1881  1 P 1.55
O: 0.2373 0.2198 0.9214  1 P 1.56
O: 0.2373 0.2802 0.4214  1 P 1.56
O: 0.2391 0.5976 0.2468  1 P 1.52
O: 0.2391 0.9024 0.7468  1 P 1.52
O: 0.2609 0.0976 0.2468  1 P 1.52
O: 0.2609 0.4024 0.7468  1 P 1.52
O: 0.2627 0.7198 0.9214  1 P 1.56
O: 0.2627 0.7802 0.4214  1 P 1.56
O: 0.2758 0.0848 0.6881  1 P 1.55
O: 0.2758 0.4152 0.1881  1 P 1.55
O: 0.3005 0.0255 0.9945  1 P 1.56
O: 0.3005 0.4745 0.4945  1 P 1.56
O: 0.4665 0.6709 0.4795  1 P 1.57
O: 0.4665 0.8291 0.9795  1 P 1.57
O: 0.4760 0.5105 0.7019  1 P 1.56
O: 0.4760 0.9895 0.2019  1 P 1.56
O: 0.4954 0.7201 0.7688  1 P 1.56
O: 0.4954 0.7799 0.2688  1 P 1.56
O: 0.4993 0.1455 0.4771  1 P 1.52
O: 0.4993 0.3545 0.9771  1 P 1.52
O: 0.5007 0.6455 0.0229  1 P 1.52
........

It is said throughout the novel that Chris and Emily's relationship is much more mature than is usual for a couple of their age. Though Chris often must be either tough or quiet when talking to his peers, fellow prisoners, and even his father, there are some moments where he is allowed to talk openly and vividly about his relationship with Emily. Picoult demonstrates in these moments that young people can have incredibly deep and meaningful relationships, and this quote is particularly heartbreaking as Chris underscores the fact that he still feels lucky, even after Emily's death, that he got to experience true love.

“She was all the things I wasn't. And I was all the things she wasn't. She could paint circles around anyone; I couldn't even draw a straight line. She was never into sports; I've always been. Her hand, it fit mine.”

Chris, p.134

Besides allowing them to grow up perhaps more emotionally close than was healthy, the Harte and Gold parents also create an atmosphere in which their children have roles to play within their families and in relation to one another. This is demonstrated through the fact that the reader hears praise about the children during a conversation between the parents before ever actually meeting the characters. It is also shown in this quote, which may seem benign, but shows how the parents molded the children into thinking they should complement one another rather than widely explore their identities. Furthermore, the teens never seem to question whether these differences in interests mean they shouldn't be together, instead accepting the parents' stories that they belonged together.

“You know, the mind is a remarkable thing. Just because you can't see the wound doesn't mean it isn't hurting. It scars all the time, but it heals.”

Dr. Feinstein, p.125

A major theme in The Pact, naturally, is grief. Not only does Picoult show many different ways of dealing with grief, but she shows how it can be a complex and dynamic process. Here, the insightful psychiatrist Dr. Feinstein tells Chris that minds can scar over just like bodies, continuing on and healing in various ways on the outside, without returning completely to normal.

"She once told me that she could see herself now, and she could also see the kind of life she wanted to have—kids, husband, suburbs, you know—but she couldn't figure out how to get from point A to point B.”

Chris, p.94

Emily's pregnancy is the primary reason she begins to feel trapped in her life, without options or steps to take to achieve the adult life she desires. However, she also reveals to the reader that it is not only the pregnancy that makes her feel trapped in this way, but her relationship with Chris as a whole, which she still cannot totally give herself up to emotionally, and the sexual abuse that she tries to suppress but that eats away at her self-identity and ability to form strong romantic and sexual relationships. When Chris quotes Emily in saying this, he does not yet know all of the complexities of Emily's situation at the time of her death—let alone those issues that prevent her from getting from her current state to the happy future he imagined for them together.

“There is no one truth. There’s only what happened, based on how you perceive it.”

Jordan McAfee, p.274

Jordan McAfee's guiding principle as a lawyer seems to be that truth has no place in a courtroom. He made the switch to being a defense lawyer for this reason; he felt more called to poke holes in the supposed truth prosecutors present than create these stories himself. But he is surprised when, as it turns out, Chris's strategy of simply trying to present the truth is the one that wins the case. By contrasting Jordan's views, based on long experience, with the truth and the outcome of Chris's trial, Picoult allows room for self-reflection about the nature and utility of truth in life and law.

“Adults, light-years away from this, rolled their eyes and smirked and said, "this too shall pass"—as if adolescence was a disease like chicken pox, something everyone recalled as a mild nuisance, completely forgetting how painful it had been at the time.”

Chris, p.351

Before becoming an author, Picoult was a high school English teacher. Furthermore, she has three children of her own and did research talking intimately with their babysitters while writing The Pact, something she discusses in the extra sections at the end of the recent editions of the novel. This care for young people inspires Picoult to write books that showcase the complex emotions, relationships, and thoughts of adolescents and teens that adults often overlook, as displayed in this quote. In the case of Emily, this assurance that teenagers will grow out of any emotional issues they are grappling with mask the fact that Emily was sexually abused and prevent her parents from starting conversations or taking actions that might have saved her life.

Record 1
! Ba2La4Ti5O18 (PBE, relaxed); values from VASP
&SYSTEM
  ibrav = 0, nat = 29, ntyp = 4
/
ATOMIC_SPECIES
Ba 137.33 Ba.upf
La 138.91 La.upf
Ti 47.87 Ti.upf
O 16.00 O.upf
ATOMIC_POSITIONS crystal
Ba 0.000 0.000 0.000
Ba 0.448 0.448 0.448
La 0.177 0.177 0.177
La 0.273 0.273 0.273
La 0.549 0.549 0.549
La 0.726 0.726 0.726
Ti 0.087 0.087 0.087
Ti 0.362 0.362 0.362
Ti 0.638 0.638 0.638
Ti 0.814 0.814 0.814
Ti 0.912 0.912 0.912
O 0.065 0.065 0.545
O 0.065 0.545 0.065
O 0.169 0.668 0.668
O 0.223 0.223 0.722
O 0.223 0.722 0.223
O 0.283 0.774 0.774
O 0.448 0.942 0.942
O 0.502 0.502 0.998
O 0.502 0.998 0.502
O 0.545 0.065 0.065
O 0.668 0.169 0.668
O 0.668 0.668 0.169
O 0.722 0.223 0.223
O 0.774 0.283 0.774
O 0.774 0.774 0.283
O 0.942 0.448 0.942
O 0.942 0.942 0.448
O 0.998 0.502 0.502
CELL_PARAMETERS angstrom
2.810 1.623 13.563
-2.810 1.623 13.563
0.000 -3.245 13.563
! Electronic total energy = -0.620 Ry/atom

Record 2
! Ce8Gd2O19 (PBE, relaxed); values from VASP
&SYSTEM
  ibrav = 0, nat = 29, ntyp = 3
/
ATOMIC_SPECIES
Ce 140.12 Ce.upf
Gd 157.25 Gd.upf
O 16.00 O.upf
ATOMIC_POSITIONS crystal
Ce 0.000 0.500 0.050
Ce 0.000 0.500 0.250
Ce 0.000 0.500 0.650
Ce 0.000 0.500 0.850
Ce 0.500 0.000 0.150
Ce 0.500 0.000 0.350
Ce 0.500 0.000 0.750
Ce 0.500 0.000 0.950
Gd 0.000 0.500 0.444
Gd 0.500 0.000 0.556
O 0.000 0.000 0.000
O 0.000 0.000 0.100
O 0.000 0.000 0.200
O 0.000 0.000 0.301
O 0.000 0.000 0.405
O 0.000 0.000 0.595
O 0.000 0.000 0.699
O 0.000 0.000 0.800
O 0.000 0.000 0.900
O 0.500 0.500 0.000
O 0.500 0.500 0.100
O 0.500 0.500 0.200
O 0.500 0.500 0.298
O 0.500 0.500 0.396
O 0.500 0.500 0.500
O 0.500 0.500 0.604
O 0.500 0.500 0.702
O 0.500 0.500 0.800
O 0.500 0.500 0.900
CELL_PARAMETERS angstrom
3.861 0.000 0.000
0.000 3.861 0.000
0.000 0.000 27.341
! Electronic total energy = -0.683 Ry/atom

Record 3
! Na3GaP2O8 (PBE, relaxed); values from VASP
&SYSTEM
  ibrav = 0, nat = 56, ntyp = 4
/
ATOMIC_SPECIES
Na 22.99 Na.upf
Ga 69.72 Ga.upf
P 30.97 P.upf
O 16.00 O.upf
ATOMIC_POSITIONS crystal
Na 0.050 0.082 0.317
Na 0.073 0.664 0.392
Na 0.101 0.201 0.912
Na 0.308 0.408 0.569
Na 0.345 0.750 0.629
Na 0.351 0.261 0.177
Na 0.649 0.739 0.823
Na 0.655 0.250 0.371
Na 0.692 0.592 0.431
Na 0.899 0.799 0.088
Na 0.927 0.336 0.608
Na 0.950 0.918 0.683
Ga 0.252 0.580 0.011
Ga 0.479 0.082 0.746
Ga 0.521 0.918 0.254
Ga 0.748 0.420 0.989
P 0.031 0.591 0.789
P 0.278 0.091 0.516
P 0.285 0.914 0.046
P 0.466 0.574 0.234
P 0.534 0.426 0.766
P 0.715 0.086 0.954
P 0.722 0.909 0.484
P 0.969 0.409 0.211
O 0.038 0.565 0.143
O 0.095 0.574 0.617
O 0.096 0.285 0.153
O 0.111 0.895 0.134
O 0.172 0.207 0.470
O 0.176 0.622 0.841
O 0.209 0.937 0.545
O 0.302 0.026 0.913
O 0.313 0.156 0.657
O 0.316 0.533 0.194
O 0.366 0.761 0.977
O 0.368 0.981 0.151
O 0.386 0.415 0.911
O 0.431 0.730 0.311
O 0.446 0.083 0.385
O 0.493 0.458 0.344
O 0.507 0.542 0.656
O 0.554 0.917 0.615
O 0.569 0.270 0.689
O 0.614 0.585 0.089
O 0.632 0.019 0.849
O 0.634 0.239 0.023
O 0.684 0.467 0.806
O 0.687 0.844 0.343

“She had never been a pretty crier. She sobbed the way she did everything else—with passion and excess.”

James, p.161

In this quote, James, Chris's father, witnesses his wife sobbing alone in a room in their house in the middle of the night. James and Gus are juxtaposed in their responses to Emily's death and their son's incarceration; James is stoic and tries to pretend that nothing has happened while Gus is overcome with emotions ranging from intense sadness (as shown in this quote) to fierce protectiveness. In the face of such passion, so different from the way James allows himself to feel, he makes the decision not to comfort her but to escape back to their room and again pretend nothing significant has happened.

"To say there had been a loss was ludicrous; one lost a shoe or a set of keys. You did not suffer the death of a child and say there was a loss. There was a catastrophe. A devastation. A hell."

Melanie, p.39

Picoult loves to play with words and imagery, and actually focuses on this idea of "losing" someone (a popular American euphemism for a person dying) in many of her books. After Emily's death, Melanie often seems to feel combative against people who mean her no harm, such as the man working at the funeral home and people who ask her for help at the library. Thus, this quote both exposes an interesting truth about the way we talk about death and show how poorly Melanie is able to interact with people in the immediate aftermath of Emily's death.

"There were mornings Chris woke up in a sweat, full to bursting with life, panting as if he’d run all the way up to the top of a cliff. There were days when he felt like he could not fit inside his own skin. There were nights when he was terrified of living up to the model of what he was turning out to be, needing more than anything to breathe in the drugging shampoo scent of Emily’s hair, and just as unwilling to admit it."

Narrator, p.351

In The Pact, Picoult tries to capture some of the intense emotions experienced by teenagers. For Emily, this often comes in the form of despair and disgust due to increasing sexuality and responsibility in her teenage years. For Chris, life is so full of passion and energy that it is hard for him to slow things down and think clearly. This escalates especially in the weeks leading up to Emily's suicide, in which he so wishes he could slow down time or take a brief break to think about and discuss his and Emily's options.